Checkpoints - Quantitative Assessments

This is in response to the several requests from teachers for Quantitative Assessments in addition to the Qualitative Assessments (Checkpoints) already included at the end of each Career Choices Workbook and Portfolio. Using these questions in addition to the vocabulary quizzes of each chapter should give you the necessary quantitative data you need.

The best way to assess the learning with the Career Choices curriculum is through the evaluation of the students written work, along with their final product, their 10-year plan. But if your school also requires a quantitative assessment, then add these questions to your mix of quizzes. For instance, use these short quizzes to determine if students read their textbook as assigned.

Chapter 1


  1. Success is not planned. It usually happens while daydreaming or it’s just luck – in other words being at the right place at the right time.
  2. Success comes from combining a vision with appropriate efforts.
  3. One reason people work is to have a sense of security.
  4. Work is an important part of most people’s identity.
  5. When I have to make a decision, I should flip a coin or give it my best guess.
  6. Decision -making is a definable process and when the steps are followed can bring good results.
  7. Success means making a lot of money, even if it is in a job you dislike.
  8. Vision and Energy are very important elements in getting what you want from life.
  9. One reason people work for self-respect and to feel powerful.
  10. All workers earn money from their job.


  1. False
  2. True
  3. True
  4. True
  5. False
  6. True
  7. False
  8. True
  9. True
  10. False

Chapter 2

  1. People have a better chance of feeling successful when they know their own work style - including their strengths and their ______. Weaknesses.
  2. Hippocrates, the ancient Greek physician believed people exhibited 12 Behavior styles, which are no longer used today. T/F False

Match each Work Behavior Style with the correct description

  1. Dominance b. Influencing c. Steadiness d. Compliance
  2. People in this category like tasks that have well-defined procedures. Known for their steadiness and follow-through, they excel at jobs calling for specialized skills.
  3. This category of people is responsible for quality control. They are detail people who work from a prescribed set of rules and regulations.
  4. People with this behavioral style like to be in control of the work environment. They are decisive and focus on accomplishing goals.
  5. These people’s strength lies in their ability to influence others. They are good communicators and enjoy the relationships that they develop at work. I
  6. These people are usually happiest in leadership positions, such as manager, store owner, entrepreneur, school principal, contractor, office manager, and so on.
  7. They are usually happiest in specialized positions such as word processor, mechanic, assembly line worker, repairperson, lab technician, or scientist.
  8. They are happiest in “watch dog” jobs: working as accountants, law enforcement officials, editors, quality control managers, building inspectors, or zoning officials.
  9. These people are usually happiest in people -oriented jobs such as sales, marketing, teaching, counseling, coaching, and customer service.


  1. Weaknesses
  2. False
  3. C. Steadiness
  4. D. Compliance
  5. A. Dominance
  6. B. Influencing
  7. A. Dominance
  8. C. Steadiness
  9. D. Compliance
  10. B. Influencing

Chapter 3


1.  I have identified a goal/mission for my life.

2.  I really do not have many choices for my future lifestyle.

  1. Money and signs of success don’t have much to do with life satisfaction.
  2. Dr. Maslow’s Hierarchy of Needs is portrayed as an octagon, with many sides.
  3. A self-actualizer is someone who is satisfied and happy with his or her life.


  1. True
  2. False
  3. True
  4. False
  5. True

Chapter 4


  1. Housing is the most expensive item on most people’s budget.
  2. Entertainment and Recreation can be eliminated from most people’s budget without impacting self-esteem and life satisfaction.
  3. Taking time off is an important part of physical and mental health.
  4. As a rule of thumb, every family should have at least one months’ income saved in case of an emergency.
  5. Studies have shown that people with a comfortable income are usually much happier than those living in poverty. But excessive amounts of money do not seem to add significantly to life satisfaction.
  6. Every job has it’s own rewards and sacrifices. How well a given career would work for you depends on your own values.


  1. True
  2. False
  3. True
  4. False
  5. True
  6. True

Chapter 5


  1. It is not really important to complete questionnaires that identify specific working conditions because if the pay is good, you will adjust to the conditions.
  2. It is essential to consider job characteristics that are important to you and then find careers that meet those requirements.
  3. My ideal job would have nothing to do with my attitude or whether I was employee or employer. A job is important only if the pay equals your debts.
  4. It is important to consider your own values as you deliberate on job choices.
  5. You should listen to your friends’ ideas about what is important in a job because they understand you better than you understand yourself.


1.  False

2.  True

3.  False

4.  True

5.  False

Chapter 6

Choose the most correct statement as it relates to choosing a career.

1.  a. Do not waste time daydreaming about a possible career.

b. Shut your eyes and picture an ideal job. Would you find the settings and situations pleasing day in and day out, year after year?

2. a. The U.S. Department of Labor has identified thousands of Career Clusters.

b. There are 16 Career Clusters.

3. a. Career Research begins with dreaming, and asking you’re

best friend for suggestions of what you would be good at.

b. Career Research begins with library and online research.

4. a. The second step of Career Research is to complete three

surveys and interview someone now working in the field of your choice and daydream about a typical day on the job.

b. Step Two of Career Research is to pick a new field.

5. a. Draw a picture of yourself in your dream job.

b. Get a job or volunteer n the field you are interested in.


1.  b

2.  b

3.  b

4.  a

5.  b

Chapter 7

Match the phrase to the correct statement:

Long Term Goal - Short Term Goal - Evaluate Choices- Informed Decision

1. Usually refers to a decision based on fact and thought

2. A goal that is essential to your happiness right now.

3. If you consider this type of goal first, decision-making will become much easier.

4. This is best done by listing the pros and cons of each choice.

5. List the eight steps in a comprehensive-decision-making model.


1.  Informed Decision

2.  Short Term Goal

3.  Long Term Goal

4.  Evaluate Choices

5.  a) Define your goal.

b) State the decision to be made

c) Analyze your resources

d) Analyze your wants and needs

e) Identify your choices

f) Evaluate your choices

g) Make your decision

- - -
No. 1
Compound: VSi2RuO
Source: the Alexandria database
Functional: PBE with a Hubbard U
Structure: relaxed

Lattice parameters (Å, degrees): 4.5933 4.5933 4.4065 90.00 90.00 90.00
Atoms (fractional coordinates):
V  0.0000  0.0000  0.0000
Si  0.0000  0.5000  0.0000
Si  0.5000  0.0000  0.0000
Ru  0.0000  0.0000  0.5000
O  0.5000  0.5000  0.5000

Computed properties:
calculated total energy: -24.75 eV for the cell shown
Fermi-level density of states: 3.5 states/eV/f.u.

---

No. 2
Compound: V2SiRuO
Source: the Alexandria database
Functional: PBE with a Hubbard U
Structure: relaxed

Lattice parameters (Å, degrees): 3.9951 3.9951 4.1405 90.00 90.00 90.00
Atoms (fractional coordinates):
V  0.0000  0.5000  0.0000
V  0.5000  0.0000  0.0000
Si  0.0000  0.0000  0.5000
Ru  0.5000  0.5000  0.5000
O  0.0000  0.0000  0.0000

Computed properties:
calculated total energy: -34.69 eV for the cell shown
Fermi-level density of states: 2.9 states/eV/f.u.

---

No. 3
Compound: Si2RuWO
Source: the Alexandria database
Functional: PBE with a Hubbard U
Structure: relaxed

Lattice parameters (Å, degrees): 4.1166 4.1166 4.1370 90.00 90.00 90.00
Atoms (fractional coordinates):
Si  0.0000  0.5000  0.0000
Si  0.5000  0.0000  0.0000
Ru  0.0000  0.0000  0.5000
W  0.5000  0.5000  0.5000
O  0.5000  0.5000  0.0000

Computed properties:
calculated total energy: -30.93 eV for the cell shown
Fermi-level density of states: 1.8 states/eV/f.u.

---

Repeat the third record exactly.
Compound: Si2RuWO
Source: the Alexandria database
Functional: PBE with a Hubbard U
Structure: relaxed

Lattice parameters (Å, degrees): 4.1166 4.1166 4.1370 90.00 90.00 90.00
Atoms (fractional coordinates):
Si  0.0000  0.5000  0.0000
Si  0.5000  0.0000  0.0000
Ru  0.0000  0.0000  0.5000
W  0.5000  0.5000  0.5000
O  0.5000  0.5000  0.0000

Computed properties:
calculated total energy: -30.93 eV for the cell shown
Fermi-level density of states: 1.8 states/eV/f.u.

---

- Which of these has the highest Fermi-level density of states?
  VSi2RuO

---

- Among the records above, which one has the highest calculated total energy?
  VSi2RuO

---

- Which formula does entry 2 have?
  V2SiRuO

=====

Tb8Pr4Dy3 | PBE-GGA | relaxed

Lattice parameters (Å, degrees): 12.5953 12.5953 12.5953 32.25 32.25 32.25
Closest atoms and distances in Å follow each position.
Positions (direct):
Tb 0.2448 0.2448 0.2448  1 Pr 3.29, 3 Dy 3.45, 6 Tb 3.50
Tb 0.2467 0.7494 0.7494  6 Tb 3.48-3.52, 2 Dy 3.55, 3 Pr 3.56-3.64
Tb 0.2506 0.2506 0.7533  6 Tb 3.48-3.52, 2 Dy 3.55, 3 Pr 3.56-3.64
Tb 0.2506 0.7533 0.2506  6 Tb 3.48-3.52, 2 Dy 3.55, 3 Pr 3.56-3.64
Tb 0.7494 0.2467 0.7494  6 Tb 3.48-3.52, 2 Dy 3.55, 3 Pr 3.56-3.64
Tb 0.7494 0.7494 0.2467  6 Tb 3.48-3.52, 2 Dy 3.55, 3 Pr 3.56-3.64
Tb 0.7533 0.2506 0.2506  6 Tb 3.48-3.52, 2 Dy 3.55, 3 Pr 3.56-3.64
Tb 0.7552 0.7552 0.7552  1 Pr 3.29, 3 Dy 3.45, 6 Tb 3.50
Pr 0.0000 0.0000 0.0000  6 Tb 3.64, 6 Pr 4.04
Pr 0.3366 0.3366 0.3366  4 Tb 3.29-3.56
Pr 0.5000 0.5000 0.5000  6 Dy 3.50, 6 Tb 3.56
- - -

Chapter 8


1.  In his book The Road Less Traveled, author, M. Scott Peck points out that using his techniques, problem solving will be easy and painless.

2.  Delaying Gratification is the putting off of the temporary joys of today in favor of lasting rewards in the future.

3.  If you can learn to delay gratification, you will be acquiring an important took in solving problems.

4.  Just as you are responsible for becoming the person you want to be, you are also responsible for becoming the person anyone else wants you to be.

5.  Dedication to truth or reality is a problem-solving tool one needs to master.

Next to the page, the page also holds calculated crystals =
/*
AgSb3 | Alexandria | PBEsol | relaxed; energy relative to the lowest polymorph listed for this composition = 0.000 eV/atom; density = 7.71 g/cm3; symmetry = No. 166; raw total energy = -4.17 eV/atom; volume = 25.5 Å³ per atom; M_tot = 0.00 μB per cell
1.0
4.196 0.000 0.000
2.098 3.634 0.000
2.098 1.211 6.683
Sb Ag
3 1
Direct
0.740 0.740 0.779
0.260 0.260 0.221
0.500 0.500 0.500
0.000 0.000 0.000



Ag4Sb | Alexandria | PBEsol | relaxed; density = 10.13 g/cm3; symmetry = No. 87; raw total energy = -3.54 eV/atom; volume = 18.1 Å³ per atom; M_tot = 0.00 μB per cell
1.0
4.135 0.000 0.000
2.067 4.682 0.000
2.067 0.000 4.682
Ag Sb
4 1
Direct
0.807 0.593 0.794
0.399 0.794 0.407
0.193 0.407 0.206
0.601 0.206 0.593
0.000 0.000 0.000



AgSb3 | Alexandria | PBEsol | relaxed; energy relative to the lowest polymorph listed for this composition = 0.122 eV/atom; density = 8.22 g/cm3; symmetry = No. 47; raw total energy = -4.05 eV/atom; volume = 23.9 Å³ per atom; M_tot = 0.00 μB per cell
1.0
-1.991 -2.386 -0.712
1.007 0.270 -3.724
5.705 -5.111 1.173
Sb Ag
3 1
Direct
0.500 0.500 0.222
0.500 0.500 0.778
0.000 0.000 0.500
0.000 0.000 0.000



Ag3Sb | Alexandria | PBEsol | relaxed; density = 9.96 g/cm3; symmetry = No. 59; raw total energy = -3.61 eV/atom; volume = 18.6 Å³ per atom; M_tot = 0.00 μB per cell
1.0
-4.711 0.905 -0.166
-0.955 -5.108 -0.740
-0.355 -0.778 5.831
Ag Sb
6 2
Direct
0.500 0.155 0.751
0.000 0.324 0.500
0.000 0.845 0.749
0.500 0.155 0.249
0.500 0.676 0.000
0.000 0.845 0.251
0.500 0.663 0.500
0.000 0.337 0.000



Ag3Sb | Alexandria | PBEsol | relaxed; density = 9.74 g/cm3; symmetry = No. 223; raw total energy = -3.53 eV/atom; volume = 19.0 Å³ per atom; M_tot = 0.00 μB per cell
1.0
-2.740 4.384 1.322
-1.308 -2.225 4.670
4.388 2.074 2.217
Ag Sb
6 2
Direct
0.000 0.750 0.500
0.500 0.000 0.750
0.250 0.500 0.000
0.500 0.000 0.250
0.750 0.500 0.000
0.000 0.250 0.500
0.000 0.000 0.000
0.500 0.500 0.500



Ag3Sb | Alexandria | PBEsol | relaxed; density = 10.02 g/cm3; symmetry = No. 221; raw total energy = -3.61 eV/atom; volume = 18.5 Å³ per atom; M_tot = 0.00 μB per cell
1.0
-3.758 -1.790 0.522
0.056 -1.282 -3.994
1.864 -3.571 1.172
Ag Sb
3 1
Direct
0.500 0.000 0.500
0.000 0.500 0.500
0.500 0.500 0.000
0.000 0.000 0.000



Ag3Sb | Alexandria | PBEsol | relaxed; density = 9.95 g/cm3; symmetry = No. 194; raw total energy = -3.61 eV/atom; volume = 18.6 Å³ per atom; M_tot = 0.00 μB per cell
1.0
4.744 0.000 0.000
0.000 6.015 0.000
0.000 -3.007 5.209
Ag Sb
6 2
Direct
0.250 0.323 0.161
0.250 0.839 0.161
0.750 0.161 0.323
0.750 0.161 0.839
0.250 0.839 0.677
0.750 0.677 0.839
0.750 0.667 0.333
0.250 0.333 0.667



AgSb3 | Alexandria | PBEsol | relaxed; energy relative to the lowest polymorph listed for this composition = 0.079 eV/atom; density = 7.81 g/cm3; symmetry = No. 44; raw total energy = -4.10 eV/atom; volume = 25.1 Å³ per atom; M_tot = 0.00 μB per cell
1.0
-0.361 -2.549 1.681
3.018 -3.013 -3.921
3.446 3.941 3.903
Sb Ag
3 1
Direct
0.500 0.524 0.000
*/

6.  Problem solving requires balancing which does not requires judgment.


1.  False

2.  True

3.  True

4.  False

5.  True

6.  False

Chapter 9


1.  It is easy to find reasons to complain, but it is impossible to find satisfaction in a life that is based on negative attitudes and feelings.

2.  Life is not easy and it isn’t always fair, but that is no excuse for making excuses for not doing something.

3.  Many limitations, such as handicaps and adversities are very real and cannot be changed, therefore, it is ok to give up on your goals and plans.

4.  You can concentrate on the things you cannot do, or you can make the most of the choices remaining to you.

5.  One way to remove a roadblock is to take responsibility for it.

6.  Calculated risk-taking is an important skill for successful living.

7.  One career plan is enough; you do not need a career back-up plan.


1.  True

2.  True

3.  False

4.  True

5.  True

6.  True

7.  False

Chapter 10

Choose the correct answer.

1.  In order to be effective, affirmations must be

a.  Written down

b.  Be short, positive and clear, and in the present tense

c.  Include your name and be meaningful and believable to you

d.  None of the above

e.  All of the above

2.  The attitude needed to be successful includes:

a.  Desire, perseverance and self-confidence

b.  Pride, a little fear, and lots of support

c.  A strong will, admitting your weaknesses, ability to change your mind

d.  None of the above

e.  All of the above

3.  Match the ‘E’s of Excellence’ with their definitions

a.  Enthusiasm

b.  Expectations

c.  Energy

d.  Enterprise

e.  Efficiency

f.  Ethics

1.  Another word for your conscience, your sense of right and wrong

2.  Springs from good health including adequate rest, nutrition, and exercise.

3.  Once your expectations are in place, it is easier to generate this to accomplish your goals

4.  Another word for vision.

5.  The ability to recognize both problems and opportunities and the willingness to take calculated risks. “When life gives you lemons, make lemonade.”

6.  Taking control of your life, being organized.


1.  a) Ethics

2.  c) Energy

3.  a) Enthusiasm

4.  b) Expectations

5.  e) Efficiency

6.  d) Enterprise

Chapter 11

True or False?

1.  A good way to begin your job search is to write a resume’. It will help you define your skills and abilities, clarify your career aspirations and present yourself well in job interviews.

2.  A resume’ should be at least 4-6 pages long.

3.  References are your friends and relatives only because they know you the best.

4.  An excellent way to learn more about your chosen career as well as to find a job is to conduct an informational interview.

5.  The job interview will usually be the step that the decision to hire you or not is made. This is based on the impression you make during the interview.

6.  Good suggestions to remember during the interview are: Be on time, Look good, but not flashy, Look confident, and be prepared.


1.  True

2.  False

3.  False

4.  True

5.  True

6.  True

Chapter 12

See the Teacher’s Lounge for suggestions on the final exam.

True or False?

1.  Success depends largely on two factors: vision and energy.

2.  You should always follow your 10 - year plan step by step without ever making any changes.

3.  Perhaps you will change your plan and head off in an entirely different direction. That’s fine, but make your decisions consciously. Have a reason for changing your mind. Then make a new plan.

4.  Getting the right education is all you need to have a satisfying and rewarding future.

• Someone pasted materials data at this point:
┌──
4
Lattice="3.938 0.000 0.000 0.000 3.938 0.000 0.000 0.000 4.259" Properties=species:S:1:pos:R:3 comment="CaMnOs2 (PBE, optimized geometry)" crystal_system=tetragonal formation_energy_mev_per_atom=712 pbc="T T T"
Ca 0.000 0.000 0.000
Mn 1.969 1.969 0.000
Os 0.000 1.969 2.130
Os 1.969 0.000 2.130


Computed, not measured: crystalline K2GaBSb at its relaxed geometry at the GGA-PBE level of DFT.

## Properties
Space-group type: P4/mmm, No. 123
ΔE_f (raw) in kcal/mol of atoms: 12.99

Lattice parameters (Å, degrees): 6.133 4.464 6.133 90.00 90.00 90.00
Each line ends with the local moment (μB).
Fractional positions:
K 0.000 0.000 0.500  0.02
K 0.500 0.000 0.000  0.01
B 0.000 0.000 0.000  0.17
Sb 0.000 0.500 0.000  -0.02
Ga 0.500 0.500 0.500  0.09
└──
• Back to the piece:

5.  Your future hinges on how well you manage yourself .

6.  Self-control strategies include, Delaying gratification, Facing fears and anxieties and Overcoming roadblocks and solving problems.

7.  Your life is defined by the choices you make.


1.  True

2.  False

3.  True

4.  False

5.  True

6.  True

7.  True